Sunday, June 18, 2006

Del Smells

Now that that's out of the way...

I think Beth is casting voodoo magic or something. This weekend, I lost at Catan. Beth won. Not too uncommon, right? But it gets worse. Beth also beat me at 5 games out of 11 in cribbage. 5! To toot my own horn, I do not often lose in cribbage. So either she's gotten really good, I've begun to suck at games, or, more likely, she is casting a spell on me...

In other news, our apartment is finally back in order and clean. After a month of slovenliness, we finally got the place clean and shiny again. Looks good too, when it is clean.

I am starting to volunteer at a legal clinic tomorrow, for 5 hours a week. It will be great experience, and I will be seeing a whole lot of different types of problems. I am looking forward to it - especially bcause it is business casual, and not suit or anything.

OK, I am gonna log off, since Beth is spying on me. A longer post may follow in a few days. People, we need to make plans to get back into the catan vibe. We can work out the multitude of time zones and such, I am sure. Will and Way, and all that.

So, to recap, Beth -voodoo, Del - smell. the rest of you, I havent figured out insults for you yet. But you're time will come.


Delia Carolina said...

Del Smells like wonderful shower gels, and perfumes, deodorant, and altogether clean... cause unlike Andy, Delia takes daily showers, and takes pride in hygiene. :D

nobbit said...

Now in my defense, when Andy does win, I am only a few pegs behind and he only wins because he cheats and rigs it such that he gets to count points first. And he is a critic that censors my posts!

Delia Carolina said...

VASP calculation (PBE-GGA) on crystalline Hf8CoSn2 at its relaxed geometry.

Cell: 16.209 4.948 5.758 Å, 90.00 90.62 90.00°
Space group C2/m (No. 12)
Unique sites:
Hf  0.038  0.000  0.260 (multiplicity 4)
Hf  0.083  0.500  0.593 (multiplicity 4)
Hf  0.148  0.500  0.109 (multiplicity 4)
Hf  0.229  0.000  0.337 (multiplicity 4)
Co  0.000  0.500  0.000 (multiplicity 2)
Sn  0.162  0.000  0.815 (multiplicity 4)

Values from the calculation:
Energy relative to the elements: -193 kJ/mol of formula units


# 1
A relaxed AcSe2O8 crystal. Source: the Alexandria database, functional PBE.

Cell and atoms, written as POSCAR:
```
AcSe2O8
1.0
-0.138 6.465 0.874
-2.191 0.559 -4.475
-3.310 -2.833 4.076
Se O Ac
2 8 1
Direct
0.686 0.207 0.414
0.314 0.793 0.586
0.588 0.832 0.664
0.169 0.625 0.250
0.769 0.884 0.265
0.769 0.381 0.265
0.831 0.375 0.750
0.412 0.168 0.336
0.231 0.116 0.735
0.231 0.619 0.735
0.000 0.000 0.000
```

- uncorrected energy (eV per atom) = -5.7804
- symmetry = No. 12
- size of the total moment (μB/cell) = 1.0

# 2
A relaxed Ac4Se3O4 crystal. Source: the Alexandria database, functional PBE.

Cell and atoms, written as POSCAR:
```
Ac4Se3O4
1.0
-3.955 5.338 1.802
-3.803 -5.737 -0.120
5.099 -0.722 4.567
Ac O Se
4 4 3
Direct
0.000 0.000 0.652
0.348 0.348 0.348
0.652 0.000 0.000
0.000 0.652 0.000
0.722 0.722 0.722
0.000 0.000 0.278
0.278 0.000 0.000
0.000 0.278 0.000
0.500 0.500 0.000
0.000 0.500 0.500
0.500 0.000 0.500
```

- uncorrected energy (eV per atom) = -6.8033
- symmetry = No. 217
- size of the total moment (μB/cell) = 0.0

# 3
A relaxed Ac2SeO6 crystal. Source: the Alexandria database, functional PBE.

Cell and atoms, written as POSCAR:
```
Ac2SeO6
1.0
5.653 0.000 0.005
0.000 5.575 0.000
0.008 0.000 7.918
O Ac Se
12 4 2
Direct
0.772 0.230 0.519
0.272 0.270 0.019
0.726 0.268 0.981
0.536 0.500 0.229
0.964 0.000 0.271
0.228 0.770 0.481
0.274 0.732 0.019
0.226 0.232 0.481
0.774 0.768 0.519
0.036 0.000 0.729
0.464 0.500 0.771
0.728 0.730 0.981
0.000 0.501 0.249
0.500 0.001 0.251
0.000 0.499 0.751
0.500 0.999 0.749
0.500 0.500 0.000
0.000 0.000 0.500
```

- uncorrected energy (eV per atom) = -6.9073
- symmetry = No. 14
- size of the total moment (μB/cell) = 0.0


1.
Entry from Alexandria: an optimized crystal structure of MoP4 (PBE-GGA).

As for the calculated volume: 16.4 Å³/atom. For the total energy, the calculation gives -136.6 eV per cell. Its crystal system is monoclinic.

The structure belongs to space group C2/c (No. 15); the cell edges are 5.3377, 11.2163 and 5.8592 Å and the angles 90.00°, 110.72° and 90.00°. Symmetry generates all atoms from Mo at (0.0000, 0.0591, 0.2500), P at (0.2211, 0.4054, 0.3167) and P at (0.2226, 0.2778, 0.8108).

2.
Entry from Alexandria: an optimized crystal structure of BaMgZnPd (PBE-GGA).

As for the calculated volume: 27.0 Å³/atom. For the total energy, the calculation gives -23.4 eV per cell. Its crystal system is monoclinic.

I also believe that Andy rigs and cheats so that he can win....

Smackymc said...


Del smells like old and moldy shower gels, old and moldy perfumes, old and moldy... well you get the idea. :)

I only censored the word "occassionally" from Beth's comment. Because it isn't occassionally when I win. Well, not in cribbage, at least. But I didn't censor anything else.

So there.

Smackymc said...

cheating and rigging, while it's a potential thing I do, I never been caught yet, so boo yah!

Delia Carolina said...

lol, i think you smell the old and mold in yourself... the smell is too strong andy, and therefore you think others smell this way as well....

Crystal said...

Andy if your cheese was old an dmoldy before, it has to be more rank now. I think delia is right, your smelling yourself.

As for cheating I thought I had caught you cheating once? That or assisted you cheating... if I assisted then Nobbit must have taken all my wheat or something and I needed to hate on her. I am such a vengeful Catan player ::wink::

I miss Catan, I really do. Its gonna be a long bit of while before we can play though. Looks like no internet for us for 2 months! We will just have to play for you at night and for me and Jason in the mornings. We will work it out.

Later Buster

Delia Carolina said...

Yes, Crystal is right... as am I. You're the one that smells.